• Work order:
Next, say how many lines of the entries underneath hold the word "formation", as a bare number.

• Listing:
No. 1
Sc3Si3Ni (r²SCAN, relaxed); formation enthalpy at 0 K = -0.88 eV/atom
1.0
3.928 0.000 0.648
1.932 4.895 0.516
0.010 -0.019 12.173
Sc Si Ni
6 6 2
direct
0.600 0.721 0.079
0.474 0.673 0.379
0.743 0.740 0.773
0.526 0.327 0.621
0.400 0.279 0.921
0.257 0.260 0.227
0.959 0.844 0.237
0.866 0.722 0.545
0.134 0.278 0.455
0.118 0.840 0.924
0.041 0.156 0.763
0.882 0.160 0.076
0.244 0.916 0.595
0.756 0.084 0.405

***

No. 2
TmSi2Ru2 (r²SCAN, relaxed); formation enthalpy at 0 K = -0.96 eV/atom
1.0
0.184 3.899 -1.408
2.853 -1.141 -2.789
-4.936 -2.339 -1.006
Tm Si Ru
1 2 2
direct
0.000 0.000 0.000
0.369 0.369 0.738
0.631 0.631 0.262
0.750 0.250 0.500
0.250 0.750 0.500

***

No. 3
Na5H3C4O12 (r²SCAN, relaxed); formation enthalpy at 0 K = -1.67 eV/atom
1.0
-0.648 -1.519 2.977
-3.265 -7.623 -5.572
15.375 -1.189 1.058
Na H C O
10 6 8 24
direct
0.214 0.326 0.952
0.786 0.674 0.048
0.187 0.819 0.902
0.813 0.181 0.098
0.817 0.283 0.721
0.183 0.717 0.279
0.579 0.786 0.693
0.421 0.214 0.307
0.227 0.252 0.523
0.773 0.748 0.477
0.264 0.530 0.748
0.736 0.470 0.252
0.500 0.500 0.500
0.004 0.047 0.757
0.996 0.953 0.243
0.500 0.000 0.500
0.584 0.524 0.861
0.416 0.476 0.139
0.861 0.532 0.623
0.139 0.468 0.377
0.759 0.064 0.870
0.241 0.936 0.130
0.241 0.004 0.618
0.759 0.996 0.382
0.718 0.444 0.903
0.282 0.556 0.097
0.629 0.658 0.891
0.371 0.342 0.109
0.375 0.459 0.778
0.625 0.541 0.222
0.060 0.618 0.697
0.940 0.382 0.303
0.817 0.399 0.606
0.183 0.601 0.394
0.691 0.590 0.565
0.309 0.410 0.435
0.687 0.149 0.944
0.313 0.851 0.056
0.696 0.930 0.846
0.304 0.070 0.154
0.927 0.123 0.812
0.073 0.877 0.188
0.111 0.937 0.671
0.889 0.063 0.329
0.260 0.137 0.637
0.740 0.863 0.363
0.356 0.927 0.541
0.644 0.073 0.459

***

No. 4
Na3Ca (r²SCAN, relaxed); formation enthalpy at 0 K = 0.07 eV/atom
1.0
-1.045 7.294 -1.942
-4.055 -5.471 -3.418
-4.367 0.529 4.335
Na Ca
6 2
direct
0.163 0.325 0.250
0.675 0.837 0.250
0.163 0.837 0.250
0.837 0.675 0.750
0.325 0.163 0.750
0.837 0.163 0.750
0.333 0.667 0.750
0.667 0.333 0.250

***

No. 5
Er2Si5Rh3 (r²SCAN, relaxed); formation enthalpy at 0 K = -1.01 eV/atom
1.0
-6.948 3.619 2.013
1.281 5.785 -5.506
-1.593 -7.925 0.253
Er Si Rh
4 10 6
direct
0.637 0.868 0.769
0.363 0.132 0.231
0.099 0.368 0.731
0.901 0.632 0.269
0.278 0.028 0.750
0.722 0.972 0.250
0.722 0.471 0.750
0.278 0.529 0.250
0.448 0.606 0.843
0.552 0.394 0.157
0.763 0.106 0.658
0.237 0.894 0.342
0.000 0.750 0.750
0.000 0.250 0.250
0.251 0.640 0.610
0.749 0.360 0.390
0.030 0.140 0.890
0.970 0.860 0.110
0.500 0.750 0.250
0.500 0.250 0.750

***

No. 6
Gd (r²SCAN, relaxed); polymorph energy (0 for the lowest one) = 0 meV per atom; formation enthalpy at 0 K = 0.00 eV/atom
1.0
3.642 0.000 0.000
-1.821 3.154 0.000
0.000 0.000 5.902
Gd
2
direct
0.333 0.667 0.250
0.667 0.333 0.750

***

No. 7
Tl2SnSe3 (r²SCAN, relaxed); formation enthalpy at 0 K = -0.49 eV/atom
1.0
-6.754 0.539 4.572
-4.088 -4.808 -5.472
5.984 -17.497 10.902
Tl Sn Se
16 8 24
direct
0.675 0.986 0.667
0.825 0.486 0.167
0.175 0.514 0.667
0.675 0.986 0.833
0.325 0.014 0.333
0.175 0.514 0.833
0.825 0.486 0.333
0.325 0.014 0.167
0.269 0.950 0.493
0.769 0.550 0.007
0.231 0.450 0.507
0.731 0.050 0.993
0.731 0.050 0.507
0.231 0.450 0.993
0.769 0.550 0.493
0.269 0.950 0.007

• Worked solution:
7